1. Ensure that all Inventory, WIP and Pending activity for the current date has been completed and that no other transactions affecting these subledgers will be posted until after the reconciliation procedure has been completed and/or the date has been changed.
2. Record the last inventory transaction number used in the Inventory Activity file (File 91). This number can be used to verify the validity of the cuttoff on the WIP valuation and transaction reports which are used to reconcile WIP activity. Note: The current version of the Inventory, WIP, and Pending valuation reports automatically record the last inventory transaction number used at the time the reports are run and they will print an error message if the number changes during processing.
3. Produce a valid ending WIP Subledger report. This can be accomplished by running the Shop Order WIP Value by Component Report (FV076R13). This report runs through the open shop orders in the system and lists the quantities and costs from all open shop order lines which have pulled quantities. The report uses the quantities and costs stored in each shop order line to determine the WIP subledger total. The WIP quantity and cost from the Inventory Master file are also listed on the report for comparative purposes. Normally, the Shop Order and Inventory Master quantities should be exactly the same. The actual WIP value and the Inventory Based WIP value listed on the report may not agree because of changes to average cost which are made to the inventory subledger while items exist in WIP. The Shop Order Line based total must be used when balancing the WIP subledger. Non stock items will not be included in the report total (these items are not included in the Inventory, WIP or Pending subledger totals). Note: The ending WIP subledger report is a point in time report (a “snapshot” of the WIP quantities and costs at a particular point in time). The ending subledger report must include all activity through the end of the day being balanced and no activity after that date. A valid report can only be produced if it is run at the proper time. This is normally accomplished by running the report after hours or as part of the nightime process. The report can be processed automatically by the system at night and the system date can be changed immediately before or after running the report to ensure that the next days transactions will be posted using the proper date. This produces a report with a valid cutoff.
4. Verify that the subledger was in balance at the end of the prior day. The only way to prove that the beginning balance being used during this procedure is valid is to have already balanced the subledger for the prior days activity. This proves that the subledger beginning balance has a valid cutoff (that it includes all activity thru the end of the prior days processing and no activity from the current days processing). If the prior days activity is not in balance, then you must either balance it first (discover and resolve the cause), or balance the activity for the entire period since the last time that the subledger was proven to be in balance.
5. Run the WIP Activity by Transaction Type report (FV091R07) for the date range being reconciled. This report totals the inventory transactions that affect the WIP sub-ledger during the selected date range and it provides the number you will need in order to prove the activity in the sub-ledger. The report automatically includes all transactions that affect the WIP sub-ledger and that should be included when proving the activity in the sub-ledger. A list describing all transaction types which affect the Inventory, WIP and Pending sub-ledgers is presented in the Reference Information section of this document.
6. Prepare a reconciliation worksheet using the information listed on the reports.
_Inserted here: materials data_
Record 1
Compound: Al
Source: the Materials Project
Functional: GGA-PBE
Structure: optimized geometry

Properties
**Total magnetization**: 0.0 μB per formula unit
**Energy above the lowest structure with this stoichiometry**: 10.4 kJ/mol of atoms
**Formation enthalpy at 0 K**: 10.4 kJ/mol of atoms

abc: 11.988 12.166 12.178
angles: 90.91 92.56 95.22
Space group P1 (No. 1)
Symmetry-distinct sites (fractional):
Al: 0.000 0.000 0.000
Al: 0.001 0.255 0.373
Al: 0.006 0.572 0.677
Al: 0.033 0.945 0.557
Al: 0.035 0.359 0.790
Al: 0.037 0.833 0.192
Al: 0.053 0.387 0.560
Al: 0.079 0.378 0.193
Al: 0.085 0.952 0.794
Al: 0.094 0.589 0.900
Al: 0.108 0.170 0.123
Al: 0.119 0.144 0.677
Al: 0.130 0.807 0.981
Al: 0.132 0.760 0.644
Al: 0.136 0.183 0.898
Al: 0.150 0.100 0.455
Al: 0.153 0.673 0.359
Al: 0.157 0.608 0.126
Al: 0.169 0.396 0.989
Al: 0.175 0.455 0.387
Al: 0.186 0.016 0.247
Al: 0.216 0.566 0.578
Al: 0.222 0.244 0.307
Al: 0.240 0.013 0.014
Al: 0.249 0.344 0.672
Al: 0.249 0.876 0.408
Al: 0.255 0.950 0.626
Al: 0.263 0.826 0.176
Al: 0.272 0.523 0.809
Al: 0.303 0.883 0.837
Al: 0.304 0.427 0.200
Al: 0.322 0.115 0.821
Al: 0.323 0.241 0.052
Al: 0.332 0.158 0.593
Al: 0.332 0.706 0.966
Al: 0.361 0.349 0.473
Al: 0.362 0.714 0.695
Al: 0.373 0.090 0.391
Al: 0.378 0.640 0.194
Al: 0.386 0.495 0.010
Al: 0.390 0.334 0.852
Al: 0.408 0.050 0.171
Al: 0.432 0.502 0.642
Al: 0.438 0.859 0.538
Al: 0.445 0.267 0.267
Al: 0.466 0.515 0.366
Al: 0.470 0.016 0.706
Al: 0.479 0.844 0.125
Al: 0.490 0.009 0.959
Al: 0.501 0.294 0.653
Al: 0.501 0.597 0.840
Al: 0.502 0.927 0.336
Al: 0.528 0.826 0.830
Al: 0.536 0.670 0.537
Al: 0.542 0.445 0.168
Al: 0.550 0.210 0.071
Al: 0.564 0.721 0.314
Al: 0.569 0.230 0.454
Al: 0.570 0.658 0.063
Al: 0.571 0.201 0.847
Al: 0.590 0.416 0.960
Al: 0.608 0.019 0.525
Al: 0.631 0.460 0.528
Al: 0.641 0.447 0.757
Al: 0.647 0.038 0.190
Al: 0.666 0.870 0.013
Al: 0.668 0.826 0.656
Al: 0.675 0.264 0.260
Al: 0.682 0.024 0.779
Al: 0.702 0.512 0.318
Al: 0.705 0.207 0.643
Al: 0.715 0.691 0.883
Al: 0.738 0.901 0.369
Al: 0.749 0.619 0.669
Al: 0.750 0.687 0.453
Al: 0.755 0.543 0.087
Al: 0.758 0.091 0.988
Al: 0.761 0.316 0.061
Al: 0.765 0.731 0.216
Al: 0.778 0.122 0.402
Al: 0.793 0.298 0.840
Al: 0.796 0.341 0.448
Al: 0.820 0.994 0.604
Al: 0.835 0.898 0.855
Al: 0.842 0.936 0.148
Al: 0.843 0.408 0.653
Al: 0.859 0.529 0.853
Al: 0.872 0.398 0.250
Al: 0.875 0.161 0.190
Al: 0.892 0.784 0.614
Al: 0.904 0.726 0.030
Al: 0.918 0.115 0.799
Al: 0.925 0.198 0.579
Al: 0.932 0.546 0.448
Al: 0.953 0.251 0.993
Al: 0.955 0.613 0.231
Al: 0.956 0.780 0.397
Al: 0.959 0.478 0.043
Al: 0.965 0.005 0.338
Al: 0.972 0.744 0.817

***

Record 2
Compound: Ca6Ge2O
Source: the Materials Project
Functional: GGA-PBE
Structure: optimized geometry

Properties
**Total magnetization**: 0.0 μB per formula unit
**Formation enthalpy at 0 K**: -103.3 kJ/mol of atoms

abc: 9.624 9.624 9.624
angles: 90.00 90.00 90.00
Space group Fm-3m (No. 225)
Symmetry-distinct sites (fractional):
Ca: 0.000 0.000 0.246
WIP Subledger - Daily Reconciliation Worksheet
WIP Sub-ledger Balance - beginning (1) 50000.00
WIP Activity by Transaction Type (2) -5000.00
Calculated Subledger Balance (3) 45000.00
WIP Subledger Balance – ending (4) 45000.00
Variance -0-
(1) This should be a verified beginning balance and should be printed in detail and preferably to file so that the file can be searched if any problems are discovered during the balancing procedure.
(3) Add the net total from the above transactions to the beginning subledger balance and compare the result to the ending subledger balance. The totals should match. If the totals are in agreement, file the reports (or archive the files and store the daily reconciliation worksheet for future use). If the totals do not match, the cause of the variance should be resolved.
If the subledger cannot be reconciled, the reasons for the variance may include the following.
• Items have been changed from Stocking to Non stocking during the period (ie Trk flag in file 70 is changed from Y to N) or vice versa. Non stock items are not included on the inventory valuation and changing the value in this field can cause undocumented (unrecorded) changes to the inventory valuation. To confirm that this value has been changed you may compare the beginning and ending valuation reports and the reports listing inventory activity to determine if there is a change to the valuation not backed up by activity detail, or you can use the inventory activity detail records for each item to see if the value in the field has changed (the most current versions of programs affecting inventory now write the value in the Trk field to the inventory activity records.
• Transactions have been improperly processed. Use of obsolete programs (ie Materials Conversion), improper versions of some programs, and disregard for system design and procedures may cause undocumented or incorrect updates to the inventory subledger.
• Off line editors have been used to change item quantities and or costs in the Inventory Master file. Off line editors do not write to the inventory activity file and improper use of the programs can result in undocmented changes to the inventory subledger.
• Data loss. Loss of inventory master or inventory activity records can cause the inventory subledger to go out of balance. This occurrence should be extremely rare on a stable system. Recovering from data loss is a complicated procedure which is handled on a case by case basis and is not discussed in this document.
Reconciling the Inventory
Subledgers to the General Ledger Inventory Control